[Request]
It remains to repeat every line further down that contains the word "molecule".

[File]
┌──
DFT (ωB97M-V with the def2-TZVPD basis set) results for one molecule with the formula C9H12BrClS.

XYZ file:
```
24
Properties=species:S:1:pos:R:3:forces:R:3:lowdin_charge:R:1
C -2.52218 -1.31690 1.11114 0.39 0.10 -0.40 -0.064
H 3.46767 -0.29348 -0.39142 0.16 -0.12 -0.10 0.104
Cl 2.82723 1.43655 -1.79300 0.04 0.11 -0.14 0.642
C -1.08977 -0.09206 -0.36624 0.45 0.37 0.07 -0.440
C -2.32662 1.09142 1.29922 0.18 -0.30 -0.24 -0.064
H -3.54965 -0.12330 2.55661 -0.09 -0.03 0.07 0.106
C 2.52302 0.22159 -0.52688 0.10 -0.21 0.23 -0.771
C -2.85997 -0.12190 1.72635 -0.09 0.24 0.20 -0.073
S 0.03309 -0.22531 -1.78850 -1.21 -1.02 0.12 0.867
Br 1.01429 -1.38900 -4.13722 0.36 0.05 -0.35 -0.320
H -0.98440 2.02306 -0.11884 0.02 0.28 0.06 0.106
H 2.98441 1.57531 1.03715 0.05 0.15 0.08 0.078
H 1.15442 -1.32946 -0.06092 -0.15 -0.08 0.11 0.093
H 2.09906 0.16682 1.57362 -0.19 -0.18 0.13 0.089
H 1.91684 -1.58278 -1.62998 0.11 0.11 -0.40 0.018
H 1.26296 1.48452 0.71032 -0.16 -0.02 0.04 0.060
H -2.58887 2.01811 1.78052 -0.13 0.09 0.14 0.107
H 0.29726 1.06595 -2.03736 0.23 0.06 0.21 -0.012
H -1.36630 -2.21258 -0.47970 0.00 -0.21 -0.04 0.117
C 1.51724 -0.83568 -0.95765 0.07 0.23 0.17 -0.442
H -2.92840 -2.26264 1.42591 -0.19 -0.06 0.19 0.108
C -1.63203 -1.30803 0.04410 -0.05 0.58 0.05 -0.090
C 2.17466 0.90018 0.77853 0.28 0.34 -0.13 -0.121
C -1.42397 1.10960 0.24426 -0.18 -0.48 -0.05 -0.097
```
Forces are in eV/Å.

Computed properties:
Multiplicity ... 1
Net charge ... 0
Energy ... -3782.4834 a.u.
F_max ... 1.59 eV/A
Energy above the lowest of the compared OMol25 structures with the same formula, charge and spin ... 0.0 kcal/mol
Highest occupied orbital energy ... -7.489 eV
Lowest unoccupied orbital energy ... 0.137 eV



DFT (ωB97M-V with the def2-TZVPD basis set) results for C4H6LiOYb as an isolated structure.

XYZ file:
```
13
Properties=species:S:1:pos:R:3:forces:R:3:mulliken_spin:R:1
H -5.27194 3.89406 -0.30037 0.22 0.13 0.24 0.084
C -2.52932 -1.71802 -0.26855 -0.29 0.75 0.55 0.013
Li -4.75418 -1.22147 -1.10035 -0.09 -0.45 -0.05 -0.001
H -1.94933 -1.51290 -1.17441 0.02 -0.30 0.37 0.000
C -2.92759 -0.68655 0.52201 0.81 -1.25 -0.68 0.018
O -3.30301 4.08422 -0.81440 -1.79 -1.95 2.23 0.293
H -2.43245 0.26569 0.30680 -0.71 0.05 0.21 -0.015
H -2.69851 -2.75486 0.03285 -0.17 0.16 -0.32 0.001
C -4.19207 2.33895 0.55333 0.03 -2.22 1.56 1.325
C -4.26146 3.47470 -0.13644 0.82 4.02 -3.84 0.202
H -3.46385 -0.88560 1.45623 0.28 0.35 -0.20 0.002
Yb -1.15324 4.33915 -1.01885 0.59 0.64 -0.25 0.011
H -4.98304 1.74656 1.01008 0.29 0.07 0.18 0.066
```
Forces are in eV/Å.

Computed properties:
Multiplicity ... 3
Net charge ... +3
Energy ... -1396.2221 a.u.
F_max ... 5.62 eV/A
Highest occupied orbital energy (alpha / beta) ... -21.178 / -21.209 eV
Lowest unoccupied orbital energy (alpha / beta) ... -12.516 / -14.279 eV



DFT (ωB97M-V with the def2-TZVPD basis set) results for a 7-piece molecular cluster, C15H32Cl2O26PS8 overall.

XYZ file:
```
84
Properties=species:S:1:pos:R:3:forces:R:3:lowdin_charge:R:1
H -0.33347 2.83392 -5.98698 0.01 0.00 0.04 0.143
C 4.19594 -8.91293 5.56164 -0.48 -0.16 0.13 -0.174
O 4.77398 -9.52715 8.69298 -0.03 -0.03 0.25 -0.205
C -0.34687 -5.83460 1.57417 -0.03 0.60 0.32 -0.813
O 1.50617 2.95873 4.33851 0.21 0.14 0.21 -0.189
H 0.53145 1.89831 5.83268 -0.06 0.22 -0.10 0.139
O -1.47843 -1.22287 1.94877 0.16 -0.44 0.53 -0.209
Cl -0.80321 -7.55629 1.49287 0.30 0.00 -0.18 0.686
C -0.00970 7.16055 -3.20173 0.47 -0.13 -0.06 -0.157
O 6.74190 -8.27014 7.86957 0.23 -0.05 0.07 -0.204
H 1.00092 8.92487 -3.97729 0.01 -0.05 -0.26 0.138
C 4.14418 -7.46163 5.98973 0.27 0.16 -0.25 -0.199
S 5.41562 -8.73126 7.71722 -0.20 0.04 -0.29 0.609
S 4.74771 -5.21432 3.19369 -0.56 -0.34 -0.72 0.450
H -5.87720 5.96050 -7.01176 -0.01 0.00 0.00 0.137
Cl 0.73294 -3.89640 -0.07039 0.28 0.50 -0.06 0.783
O 3.29685 4.62704 4.41538 0.02 0.24 -0.17 -0.203
O 3.35594 2.81869 2.72461 0.12 0.02 -0.20 -0.225
H 0.13729 -5.71480 2.53701 -0.08 -0.17 0.26 0.054
└──

[Response]
DFT (ωB97M-V with the def2-TZVPD basis set) results for one molecule with the formula C9H12BrClS.